Contents:
Material: ZnFeP2
Method: DFT, PBE
State: relaxed

abc: 2.6885 2.6885 27.8306
angles: 90.00 90.00 120.00
With the nearest neighbours (Å) after each atom.
Positions (direct):
Zn (0.0000, 0.0000, 0.0000)  6 Zn 2.69
Zn (0.3333, 0.6667, 0.6667)  6 Zn 2.69
Zn (0.6667, 0.3333, 0.3333)  6 Zn 2.69
Fe (0.0000, 0.0000, 0.5000)  6 P 2.31
Fe (0.3333, 0.6667, 0.1667)  6 P 2.31
Fe (0.6667, 0.3333, 0.8333)  6 P 2.31
P (0.0000, 0.0000, 0.2281)  3 Fe 2.31
P (0.0000, 0.0000, 0.7719)  3 Fe 2.31
P (0.3333, 0.6667, 0.4385)  3 Fe 2.31
P (0.3333, 0.6667, 0.8948)  3 Fe 2.31
P (0.6667, 0.3333, 0.1052)  3 Fe 2.31
P (0.6667, 0.3333, 0.5615)  3 Fe 2.31

Output
* space group: R-3m (166)
* total energy: -5.120 eV per atom
* formation energy: 19 meV per atom
* total magnetic moment: 0.01 μB/f.u.

---

Material: SmP3Pd10
Method: DFT, PBE
State: relaxed

abc: 8.6409 8.6409 8.6409
angles: 60.00 60.00 60.00
With the nearest neighbours (Å) after each atom.
Positions (direct):
Sm (0.2500, 0.2500, 0.2500)  4 Pd 2.87
Sm (0.7500, 0.7500, 0.7500)  4 Pd 2.87
P (0.2407, 0.2407, 0.7593)  8 Pd 2.36-2.51
P (0.2407, 0.7593, 0.2407)  8 Pd 2.36-2.51
P (0.2407, 0.7593, 0.7593)  8 Pd 2.36-2.51
P (0.7593, 0.2407, 0.2407)  8 Pd 2.36-2.51
P (0.7593, 0.2407, 0.7593)  8 Pd 2.36-2.51
P (0.7593, 0.7593, 0.2407)  8 Pd 2.36-2.51
Pd (0.1144, 0.1144, 0.1144)  3 P 2.51, 3 Pd 2.79
Pd (0.1144, 0.1144, 0.6569)  3 P 2.51, 3 Pd 2.79
Pd (0.1144, 0.6569, 0.1144)  3 P 2.51, 3 Pd 2.79
Pd (0.1548, 0.5000, 0.5000)  2 P 2.36
Pd (0.1548, 0.5000, 0.8452)  2 P 2.36
Pd (0.1548, 0.8452, 0.5000)  2 P 2.36
Pd (0.3431, 0.8856, 0.8856)  3 P 2.51, 3 Pd 2.79
Pd (0.5000, 0.1548, 0.5000)  2 P 2.36
Pd (0.5000, 0.1548, 0.8452)  2 P 2.36
Pd (0.5000, 0.5000, 0.1548)  2 P 2.36
Pd (0.5000, 0.5000, 0.8452)  2 P 2.36
Pd (0.5000, 0.8452, 0.1548)  2 P 2.36
Pd (0.5000, 0.8452, 0.5000)  2 P 2.36
Pd (0.6569, 0.1144, 0.1144)  3 P 2.51, 3 Pd 2.79
Pd (0.8452, 0.1548, 0.5000)  2 P 2.36
Pd (0.8452, 0.5000, 0.1548)  2 P 2.36
Pd (0.8452, 0.5000, 0.5000)  2 P 2.36
Pd (0.8856, 0.3431, 0.8856)  3 P 2.51, 3 Pd 2.79
Pd (0.8856, 0.8856, 0.3431)  3 P 2.51, 3 Pd 2.79
Pd (0.8856, 0.8856, 0.8856)  3 P 2.51, 3 Pd 2.79

Output
* space group: Fm-3m (225)
* total energy: -5.827 eV per atom
* formation energy: -622 meV per atom
* total magnetic moment: 0.00 μB/f.u.

---

Material: Sr3In6Sn5
Method: DFT, PBE
State: relaxed

abc: 4.7438 15.9704 11.2442
angles: 90.00 90.00 90.00
With the nearest neighbours (Å) after each atom.
Positions (direct):
Sr (0.2500, 0.0684, 0.2483)  6 In 3.46-3.83, 6 Sn 3.50-3.76
Sr (0.2500, 0.4316, 0.2483)  6 In 3.46-3.83, 6 Sn 3.50-3.76
Sr (0.2500, 0.7500, 0.2557)  6 Sn 3.76, 10 In 3.89-4.06
Sr (0.7500, 0.2500, 0.7443)  6 Sn 3.76, 10 In 3.89-4.06
Sr (0.7500, 0.5684, 0.7517)  6 In 3.46-3.83, 6 Sn 3.50-3.76
Sr (0.7500, 0.9316, 0.7517)  6 In 3.46-3.83, 6 Sn 3.50-3.76
In (0.2500, 0.0677, 0.6073)  4 Sn 2.96-3.12, 1 In 3.30
In (0.2500, 0.2500, 0.0257)  4 Sn 3.11-3.25, 4 In 3.41
In (0.2500, 0.2500, 0.4699)  4 Sn 3.14, 2 In 3.30
In (0.2500, 0.4323, 0.6073)  4 Sn 2.96-3.12, 1 In 3.30
In (0.2500, 0.5968, 0.9715)  4 Sn 2.98-3.28
In (0.2500, 0.9032, 0.9715)  4 Sn 2.98-3.28
In (0.7500, 0.0968, 0.0285)  4 Sn 2.98-3.28
In (0.7500, 0.4032, 0.0285)  4 Sn 2.98-3.28
In (0.7500, 0.5677, 0.3927)  4 Sn 2.96-3.12, 1 In 3.30
In (0.7500, 0.7500, 0.5301)  4 Sn 3.14, 2 In 3.30
In (0.7500, 0.7500, 0.9743)  4 Sn 3.11-3.25, 4 In 3.41
In (0.7500, 0.9323, 0.3927)  4 Sn 2.96-3.12, 1 In 3.30
Sn (0.2500, 0.0896, 0.8690)  5 In 2.96-3.19
Sn (0.2500, 0.4104, 0.8690)  5 In 2.96-3.19
Sn (0.2500, 0.6212, 0.5353)  5 In 2.99-3.14
Sn (0.2500, 0.7500, 0.7773)  4 In 3.25-3.28, 2 Sn 3.41
Sn (0.2500, 0.8788, 0.5353)  5 In 2.99-3.14
Sn (0.7500, 0.1212, 0.4647)  5 In 2.99-3.14
Sn (0.7500, 0.2500, 0.2227)  4 In 3.25-3.28, 2 Sn 3.41
Sn (0.7500, 0.3788, 0.4647)  5 In 2.99-3.14
Sn (0.7500, 0.5896, 0.1310)  5 In 2.96-3.19
Sn (0.7500, 0.9104, 0.1310)  5 In 2.96-3.19

Output
* space group: Pmmn (59)
* total energy: -3.251 eV per atom
* formation energy: -288 meV per atom
Job:
Could you work out how many lines further above have the word "relaxed" in them; a number is enough?
Result:
3